ScottishPower Foundation supports Venture Scotland initiative, The Journey
[The piece is interrupted by records of crystals]
The following is a DFT calculation (PBE-GGA) of GeTe after structural relaxation.

The structure in POSCAR format:
```
GeTe
1.0
-3.065 0.079 2.706
-2.907 -10.332 -2.991
8.077 -4.963 9.292
Ge Te
8 8
Direct
0.518 0.110 0.725
0.482 0.890 0.275
0.018 0.890 0.725
0.018 0.390 0.775
0.982 0.110 0.275
0.482 0.390 0.225
0.518 0.610 0.775
0.982 0.610 0.225
0.482 0.655 0.362
0.018 0.655 0.638
0.518 0.845 0.862
0.982 0.845 0.138
0.518 0.345 0.638
0.982 0.345 0.362
0.018 0.155 0.862
0.482 0.155 0.138
```

## Properties
Its space-group type is Pbcn (60). Its magnetic moment is 0.0 μB/f.u. The formation energy from the elements comes out at -0.1887 eV per atom. The calculation puts the total DFT energy (no corrections) at -61.8 eV/cell.


Below is a relaxed MgSn2 crystal, with properties calculated at the GGA-PBE level.

a b c (Å): 6.5569 6.5569 7.4712
angles (deg): 80.23 80.23 29.54
Last column: nearest neighbours and their distance in Å.
Atoms (fractional coordinates):
Sn: 0.6547 0.6547 0.6522  3 Mg 3.02-3.23, 6 Sn 3.33-3.34
Sn: 0.3323 0.3323 0.3498  4 Mg 3.13-3.33, 7 Sn 3.27-3.46
Sn: 0.2821 0.2821 0.9354  4 Mg 3.26-3.34, 8 Sn 3.27-3.48
Sn: 0.0035 0.0035 0.0112  3 Mg 3.08-3.14, 6 Sn 3.34-3.44
Mg: 0.6204 0.6204 0.2616  7 Sn 3.02-3.34, 2 Mg 3.34
Mg: 0.9404 0.9404 0.6230  7 Sn 3.13-3.26, 2 Mg 3.34

Output
calculated formation energy = -0.01 eV/atom
space group = No. 8
E = -9.646 eV per formula unit
crystal system = monoclinic
size of the total moment = 0.000 μB/atom
V = 25.98 Å³ per atom

***

Below is a relaxed SbO2 crystal, with properties calculated at the GGA-PBE level.

a b c (Å): 3.4127 3.4127 10.5092
angles (deg): 90.00 90.00 120.00
Last column: nearest neighbours and their distance in Å.
Atoms (fractional coordinates):
Sb: 0.0000 0.0000 0.0000  6 O 2.18
Sb: 0.0000 0.0000 0.5000  6 O 2.18
O: 0.3333 0.6667 0.5888  3 Sb 2.18
O: 0.6667 0.3333 0.4112  3 Sb 2.18
O: 0.3333 0.6667 0.9112  3 Sb 2.18
O: 0.6667 0.3333 0.0888  3 Sb 2.18

Output
calculated formation energy = -1.44 eV/atom
space group = No. 194
corrected total energy (MP2020 scheme) = -6.11 eV/atom
E = -16.961 eV per formula unit
crystal system = hexagonal
size of the total moment = 0.001 μB/atom
V = 17.67 Å³ per atom

***

Below is a relaxed Sr5Co2N4 crystal, with properties calculated at the GGA-PBE level.

a b c (Å): 8.7208 8.7208 12.4672
angles (deg): 90.00 90.00 90.00
Last column: nearest neighbours and their distance in Å.
Atoms (fractional coordinates):
Sr: 0.3676 0.9234 0.4012  4 N 2.57-2.83
Sr: 0.5766 0.3676 0.4012  4 N 2.57-2.83
Sr: 0.7500 0.7500 0.8459  4 N 2.83
Sr: 0.0766 0.8676 0.5988  4 N 2.57-2.83
Sr: 0.7500 0.7500 0.3459  4 N 2.83
Sr: 0.6324 0.4234 0.0988  4 N 2.57-2.83
Sr: 0.2500 0.2500 0.6541  4 N 2.83
Sr: 0.4234 0.6324 0.5988  4 N 2.57-2.83
Sr: 0.8676 0.0766 0.0988  4 N 2.57-2.83
Sr: 0.4234 0.8676 0.0988  4 N 2.57-2.83
Sr: 0.3676 0.5766 0.9012  4 N 2.57-2.83
Sr: 0.6324 0.0766 0.5988  4 N 2.57-2.83
Sr: 0.5766 0.1324 0.9012  4 N 2.57-2.83
Sr: 0.2500 0.2500 0.1541  4 N 2.83
[Back to the piece]
This week, 40 young people from across Scotland will receive new qualifications and awards from taking part in a personal development programme that has helped them turn their lives around. ‘The Journey’, set up by Venture Scotland, and supported by funding from the ScottishPower Foundation, is an innovative programme that uses outdoor pursuits to help vulnerable young people gain a range of practical and emotional skills to help them lead happier, healthier and more fulfilling lives.
Each of the 40 participants was referred to the course because of a unique challenge they faced in their life, such as poor physical or mental health, offending behaviour or drug or alcohol misuse. The group started ‘The Journey’ back in August 2014 and prior to then many of its members did not have much experience of outdoor activities. Over the past nine months they have taken part in a plethora of outdoor based activities such as team games, hill-walking, canoeing, community living and spending a weekend fending for themselves at Venture Scotland’s bothy in Glen Etive. As a result, each member has gained valuable skills and a new perspective on life.

The young people graduating from the course on Thursday, 11 June, at a ceremony at Glasgow’s Albany Centre, have gained qualifications including the National Navigation Award Scheme, SCA Canoe 1 Star, Mountain Bike Leader, Archery Instructor and John Muir Discovery Award for conservation. Thanks to the skills attained on the course, the majority are now in full or part-time employment, education, training or volunteering on a regular basis.
Tam Hendry, Chief Executive, Venture Scotland, said: “It is incredible to see the transformation each year in the young people who complete ‘The Journey’. Back in August many of the participants lacked self-esteem and faced numerous challenges in their home lives. Thanks to the support of the ScottishPower Foundation, young people facing the odds have been given an opportunity to engage with the natural world and establish a sense of community and self-worth, to help them move on to the next chapter in their lives.
“As well as finding work or continuing their education, several of the young people have also signed up to volunteer with Venture Scotland and help mentor next year’s intake – to reach the point where they have the confidence, skills and desire to not only take charge of their own lives but to also give back to others is the very definition of empowerment.”
Ann Loughrey, Trustee and Executive Officer, ScottishPower Foundation, said: “The ScottishPower Foundation is committed to supporting community programmes that inspire young people to get more out of life. By helping them attain valuable life skills, Venture Scotland gives some of Scotland’s most vulnerable young people a chance to turn their lives around. It was a privilege to watch the forty young people graduate and we are delighted to continue to support Venture Scotland and its range of personal development programmes for vulnerable young people.”
For further information, images or case studies, please contact Emma Paul or Jen Ward at Stripe Communications on 0131 561 8628 / 07913 677 332 or